== Exercise ==
Now transcribe all of the contents below word for word.
== Given ==
'''
Computed, not measured: a cluster of 3 separate species, C40H74ClI2N3O12P in total, with the ωB97M-V functional and the def2-TZVPD basis.

- Charge: +1
- E: -109717.2369 eV

XYZ file:
```
133
Properties=species:S:1:pos:R:3:forces:R:3:lowdin_charge:R:1
C 4.9250 -7.5473 3.8851 -0.2 1.3 -0.8 -0.058
C 4.5912 -6.7755 2.5261 2.1 -0.6 0.3 -0.257
O 3.8448 -5.5757 2.7581 -1.1 -0.8 -0.2 -0.186
C 2.4911 -5.6669 2.3433 -0.4 -0.3 0.0 -0.122
C 2.2789 -4.8457 0.9581 0.7 -2.0 1.5 -0.245
O 3.6105 -4.5969 0.4798 -2.1 1.1 -0.8 -0.099
C 3.3699 -3.6654 -0.6267 0.8 -1.4 0.3 -0.237
C 4.5147 -3.9069 -1.6503 -0.1 0.1 -1.3 -0.103
C 4.0239 -3.7301 -3.1736 0.8 -0.5 0.9 -0.076
C 3.6266 -5.1410 -3.7568 0.4 1.0 -0.4 -0.459
N 2.7013 -6.0131 -3.0285 0.3 0.9 0.0 0.106
O 4.1261 -5.4687 -4.7977 -0.5 -0.3 0.6 0.116
C 3.1763 -2.2479 0.0468 2.4 -0.4 0.0 -0.272
C 4.1838 -2.1022 1.2863 -0.1 0.2 0.2 -0.116
C 5.6936 -2.3432 0.9447 0.5 -0.4 1.1 -0.214
C 6.5316 -2.0195 2.2597 0.4 0.0 -1.7 -0.556
Cl 6.1780 -3.1521 3.6249 0.0 0.7 -0.6 0.573
C 3.5598 -1.1486 -0.9802 0.6 1.5 -1.0 -0.127
C 3.7131 0.3645 -0.5547 -0.2 1.2 -0.9 -0.181
C 5.0210 1.0743 -1.1503 -0.2 0.5 1.6 -0.172
C 5.6685 2.0057 -0.0193 1.1 -0.8 -0.5 -0.178
C 7.2579 2.0549 -0.2309 -0.2 0.3 0.2 -0.281
N 7.8182 3.4165 -0.1299 -0.1 -0.5 0.0 -0.028
N 1.7216 -2.2628 0.5571 1.0 1.3 -0.1 -0.168
C 1.4800 -1.1299 1.5334 -0.5 2.6 1.1 -0.175
O 0.0671 -0.8860 1.7377 1.1 0.0 -0.1 -0.181
C -0.1878 0.4612 1.9925 -1.7 3.2 0.1 -0.253
C 0.5370 1.3273 2.9034 -1.4 0.3 -1.3 0.000
C 0.1067 2.7234 3.0362 -0.8 -0.3 -0.8 -0.061
C -1.0333 3.2984 2.3421 0.3 -2.7 -0.5 -0.054
C -1.7910 2.4018 1.4549 1.8 -0.3 1.2 -0.050
C -1.3451 1.0400 1.2913 0.5 0.3 0.6 -0.016
P 0.5008 -1.8340 -0.7440 -4.7 0.4 -1.9 1.021
O 0.5710 -0.1611 -1.0538 1.0 -1.8 0.1 -0.234
O 0.8818 -2.4876 -2.2392 1.1 0.8 1.0 -0.331
C 1.4163 -3.5722 1.3179 0.5 -1.1 1.9 -0.255
C -0.0588 -3.9215 1.6408 -1.2 -0.2 -0.5 -0.625
I -0.7666 -3.4749 3.6751 0.9 0.0 -0.9 0.979
C -1.0253 -4.5286 0.8978 0.1 -0.1 1.1 -0.750
C -2.4925 -4.8067 1.4115 0.4 1.0 -1.2 -0.212
I -0.6350 -5.2426 -1.0683 -0.4 0.1 0.5 1.032
H 5.1320 -8.6263 3.6923 -0.3 0.9 0.3 0.078
H 5.8414 -7.0401 4.2948 -1.0 -0.7 -0.1 0.077
H 4.0640 -7.3639 4.5738 0.8 -0.5 -0.4 0.078
H 4.1658 -7.4550 1.7452 -0.1 0.7 0.7 0.120
H 5.5967 -6.4453 2.1298 -1.1 -0.2 0.1 0.120
H 1.8103 -5.2921 3.1581 0.7 -0.1 -0.7 0.107
H 2.1975 -6.7462 2.1872 0.3 1.1 0.0 0.142
H 1.8203 -5.6071 0.2873 -0.1 1.1 0.1 0.085
H 2.4404 -4.0858 -1.1185 0.7 1.1 0.2 0.107
H 4.8420 -4.9817 -1.5584 -0.3 1.1 0.3 0.138
H 5.4362 -3.2892 -1.5547 -0.9 -0.4 0.3 0.105
H 4.9335 -3.3980 -3.7439 -1.2 -0.3 0.3 0.126
H 3.2143 -2.9645 -3.2535 0.5 -0.8 0.0 0.097
H 3.1068 -6.2115 -2.1038 -0.3 0.0 -0.4 0.077
H 1.8565 -5.4475 -2.8613 0.3 -0.4 0.1 0.023
H 4.1475 -1.0627 1.7290 -0.2 -0.9 -0.8 0.118
H 3.8985 -2.7682 2.1464 0.4 0.3 -1.0 0.102
H 6.1157 -1.6681 0.1561 -0.6 -0.4 0.6 0.112
H 5.9220 -3.3977 0.6229 -0.5 1.0 0.5 0.119
H 6.3660 -0.9409 2.5041 0.0 -1.0 0.4 0.079
H 7.6106 -2.1460 1.9967 -0.9 0.1 0.4 0.080
H 4.6129 -1.3597 -1.3287 -1.3 -0.5 0.5 0.105
H 2.9837 -1.1392 -1.9506 0.3 -0.4 1.2 0.117
H 2.8594 0.9637 -0.9866 0.6 -0.8 0.7 0.109
H 3.7219 0.5878 0.5363 -0.1 -0.6 -0.7 0.081
H 5.8249 0.3486 -1.4289 -0.8 0.4 0.0 0.093
H 4.7709 1.7432 -2.0169 0.3 -0.9 0.6 0.121
H 5.5328 1.5608 1.0081 -0.3 0.5 -1.0 0.096
H 5.2329 3.0380 -0.0483 0.4 -0.9 0.1 0.108
H 7.7696 1.4128 0.5442 -0.6 0.5 -0.8 0.110
H 7.5228 1.6279 -1.2349 -0.3 0.3 0.8 0.097
H 7.1073 4.1417 -0.1696 0.4 -0.2 0.2 0.056
H 8.4446 3.5343 0.6603 -0.4 0.1 -0.2 0.062
H 1.9475 -1.2627 2.5345 -0.1 -0.7 -0.9 0.155
H 1.8378 -0.1397 1.1553 0.3 -1.2 -0.3 0.126
H 1.4149 0.9488 3.4690 -0.8 0.4 -0.4 0.114
H 0.6822 3.3947 3.7096 -0.4 -0.7 -0.5 0.104
H -1.3744 4.3517 2.4728 0.6 -1.1 0.0 0.108
H -2.6994 2.7779 0.9203 1.0 -0.5 0.5 0.101
H -1.9342 0.3770 0.6120 0.6 0.5 0.7 0.092
H -0.3467 0.0707 -1.2951 0.3 0.1 0.4 0.070
H 0.3221 -2.0235 -2.8951 0.4 -0.2 0.3 0.086
H 1.8418 -3.3427 2.3425 -0.4 0.1 -1.3 0.114
H -2.9113 -3.7843 1.6437 0.3 -1.1 0.0 0.063
'''
== Result ==
Computed, not measured: a cluster of 3 separate species, C40H74ClI2N3O12P in total, with the ωB97M-V functional and the def2-TZVPD basis.

- Charge: +1
- E: -109717.2369 eV

XYZ file:
```
133
Properties=species:S:1:pos:R:3:forces:R:3:lowdin_charge:R:1
C 4.9250 -7.5473 3.8851 -0.2 1.3 -0.8 -0.058
C 4.5912 -6.7755 2.5261 2.1 -0.6 0.3 -0.257
O 3.8448 -5.5757 2.7581 -1.1 -0.8 -0.2 -0.186
C 2.4911 -5.6669 2.3433 -0.4 -0.3 0.0 -0.122
C 2.2789 -4.8457 0.9581 0.7 -2.0 1.5 -0.245
O 3.6105 -4.5969 0.4798 -2.1 1.1 -0.8 -0.099
C 3.3699 -3.6654 -0.6267 0.8 -1.4 0.3 -0.237
C 4.5147 -3.9069 -1.6503 -0.1 0.1 -1.3 -0.103
C 4.0239 -3.7301 -3.1736 0.8 -0.5 0.9 -0.076
C 3.6266 -5.1410 -3.7568 0.4 1.0 -0.4 -0.459
N 2.7013 -6.0131 -3.0285 0.3 0.9 0.0 0.106
O 4.1261 -5.4687 -4.7977 -0.5 -0.3 0.6 0.116
C 3.1763 -2.2479 0.0468 2.4 -0.4 0.0 -0.272
C 4.1838 -2.1022 1.2863 -0.1 0.2 0.2 -0.116
C 5.6936 -2.3432 0.9447 0.5 -0.4 1.1 -0.214
C 6.5316 -2.0195 2.2597 0.4 0.0 -1.7 -0.556
Cl 6.1780 -3.1521 3.6249 0.0 0.7 -0.6 0.573
C 3.5598 -1.1486 -0.9802 0.6 1.5 -1.0 -0.127
C 3.7131 0.3645 -0.5547 -0.2 1.2 -0.9 -0.181
C 5.0210 1.0743 -1.1503 -0.2 0.5 1.6 -0.172
C 5.6685 2.0057 -0.0193 1.1 -0.8 -0.5 -0.178
C 7.2579 2.0549 -0.2309 -0.2 0.3 0.2 -0.281
N 7.8182 3.4165 -0.1299 -0.1 -0.5 0.0 -0.028
N 1.7216 -2.2628 0.5571 1.0 1.3 -0.1 -0.168
C 1.4800 -1.1299 1.5334 -0.5 2.6 1.1 -0.175
O 0.0671 -0.8860 1.7377 1.1 0.0 -0.1 -0.181
C -0.1878 0.4612 1.9925 -1.7 3.2 0.1 -0.253
C 0.5370 1.3273 2.9034 -1.4 0.3 -1.3 0.000
C 0.1067 2.7234 3.0362 -0.8 -0.3 -0.8 -0.061
C -1.0333 3.2984 2.3421 0.3 -2.7 -0.5 -0.054
C -1.7910 2.4018 1.4549 1.8 -0.3 1.2 -0.050
C -1.3451 1.0400 1.2913 0.5 0.3 0.6 -0.016
P 0.5008 -1.8340 -0.7440 -4.7 0.4 -1.9 1.021
O 0.5710 -0.1611 -1.0538 1.0 -1.8 0.1 -0.234
O 0.8818 -2.4876 -2.2392 1.1 0.8 1.0 -0.331
C 1.4163 -3.5722 1.3179 0.5 -1.1 1.9 -0.255
C -0.0588 -3.9215 1.6408 -1.2 -0.2 -0.5 -0.625
I -0.7666 -3.4749 3.6751 0.9 0.0 -0.9 0.979
C -1.0253 -4.5286 0.8978 0.1 -0.1 1.1 -0.750
C -2.4925 -4.8067 1.4115 0.4 1.0 -1.2 -0.212
I -0.6350 -5.2426 -1.0683 -0.4 0.1 0.5 1.032
H 5.1320 -8.6263 3.6923 -0.3 0.9 0.3 0.078
H 5.8414 -7.0401 4.2948 -1.0 -0.7 -0.1 0.077
H 4.0640 -7.3639 4.5738 0.8 -0.5 -0.4 0.078
H 4.1658 -7.4550 1.7452 -0.1 0.7 0.7 0.120
H 5.5967 -6.4453 2.1298 -1.1 -0.2 0.1 0.120
H 1.8103 -5.2921 3.1581 0.7 -0.1 -0.7 0.107
H 2.1975 -6.7462 2.1872 0.3 1.1 0.0 0.142
H 1.8203 -5.6071 0.2873 -0.1 1.1 0.1 0.085
H 2.4404 -4.0858 -1.1185 0.7 1.1 0.2 0.107
H 4.8420 -4.9817 -1.5584 -0.3 1.1 0.3 0.138
H 5.4362 -3.2892 -1.5547 -0.9 -0.4 0.3 0.105
H 4.9335 -3.3980 -3.7439 -1.2 -0.3 0.3 0.126
H 3.2143 -2.9645 -3.2535 0.5 -0.8 0.0 0.097
H 3.1068 -6.2115 -2.1038 -0.3 0.0 -0.4 0.077
H 1.8565 -5.4475 -2.8613 0.3 -0.4 0.1 0.023
H 4.1475 -1.0627 1.7290 -0.2 -0.9 -0.8 0.118
H 3.8985 -2.7682 2.1464 0.4 0.3 -1.0 0.102
H 6.1157 -1.6681 0.1561 -0.6 -0.4 0.6 0.112
H 5.9220 -3.3977 0.6229 -0.5 1.0 0.5 0.119
H 6.3660 -0.9409 2.5041 0.0 -1.0 0.4 0.079
H 7.6106 -2.1460 1.9967 -0.9 0.1 0.4 0.080
H 4.6129 -1.3597 -1.3287 -1.3 -0.5 0.5 0.105
H 2.9837 -1.1392 -1.9506 0.3 -0.4 1.2 0.117
H 2.8594 0.9637 -0.9866 0.6 -0.8 0.7 0.109
H 3.7219 0.5878 0.5363 -0.1 -0.6 -0.7 0.081
H 5.8249 0.3486 -1.4289 -0.8 0.4 0.0 0.093
H 4.7709 1.7432 -2.0169 0.3 -0.9 0.6 0.121
H 5.5328 1.5608 1.0081 -0.3 0.5 -1.0 0.096
H 5.2329 3.0380 -0.0483 0.4 -0.9 0.1 0.108
H 7.7696 1.4128 0.5442 -0.6 0.5 -0.8 0.110
H 7.5228 1.6279 -1.2349 -0.3 0.3 0.8 0.097
H 7.1073 4.1417 -0.1696 0.4 -0.2 0.2 0.056
H 8.4446 3.5343 0.6603 -0.4 0.1 -0.2 0.062
H 1.9475 -1.2627 2.5345 -0.1 -0.7 -0.9 0.155
H 1.8378 -0.1397 1.1553 0.3 -1.2 -0.3 0.126
H 1.4149 0.9488 3.4690 -0.8 0.4 -0.4 0.114
H 0.6822 3.3947 3.7096 -0.4 -0.7 -0.5 0.104
H -1.3744 4.3517 2.4728 0.6 -1.1 0.0 0.108
H -2.6994 2.7779 0.9203 1.0 -0.5 0.5 0.101
H -1.9342 0.3770 0.6120 0.6 0.5 0.7 0.092
H -0.3467 0.0707 -1.2951 0.3 0.1 0.4 0.070
H 0.3221 -2.0235 -2.8951 0.4 -0.2 0.3 0.086
H 1.8418 -3.3427 2.3425 -0.4 0.1 -1.3 0.114
H -2.9113 -3.7843 1.6437 0.3 -1.1 0.0 0.063